Exercise >
Return the notes below from the first line to the one with "0.823" without altering anything.
File >
-- begin --
[1]
Density functional theory data (PBE) for a relaxed structure of Pm2Tl4Se5.

Cell and atoms, written as CIF:
```
data_Pm2Tl4Se5
_cell_length_a 23.984
_cell_length_b 23.984
_cell_length_c 23.984
_cell_angle_alpha 10.26
_cell_angle_beta 10.26
_cell_angle_gamma 10.26
_space_group_name_H-M_alt 'P 1'
_space_group_IT_number 1
loop_
_space_group_symop_operation_xyz
'x,y,z'
loop_
_atom_site_label
_atom_site_type_symbol
_atom_site_fract_x
_atom_site_fract_y
_atom_site_fract_z
Pm1 Pm 0.141 0.141 0.141
Pm2 Pm 0.859 0.859 0.859
Tl1 Tl 0.313 0.313 0.313
Tl2 Tl 0.413 0.413 0.413
Tl3 Tl 0.587 0.587 0.587
Tl4 Tl 0.687 0.687 0.687
Se1 Se 0.213 0.213 0.213
Se2 Se 0.375 0.375 0.375
Se3 Se 0.500 0.500 0.500
Se4 Se 0.625 0.625 0.625
Se5 Se 0.787 0.787 0.787
```

Calculated values
Total magnetic moment: 0.00 μB per formula unit
E: -4.216 eV per atom
Energy relative to the elements, uncorrected: -0.91 eV per atom
N(E_F): 2.8 states/eV/cell

[2]
Density functional theory data (PBE) for a relaxed structure of AgHg2Rh.

Cell and atoms, written as CIF:
```
data_AgHg2Rh
_cell_length_a 3.070
_cell_length_b 3.070
_cell_length_c 27.667
_cell_angle_alpha 90.00
_cell_angle_beta 90.00
_cell_angle_gamma 120.00
_space_group_name_H-M_alt 'P 1'
_space_group_IT_number 1
loop_
_space_group_symop_operation_xyz
'x,y,z'
loop_
_atom_site_label
_atom_site_type_symbol
_atom_site_fract_x
_atom_site_fract_y
_atom_site_fract_z
Ag1 Ag 0.000 0.000 0.000
Ag2 Ag 0.333 0.667 0.667
Ag3 Ag 0.667 0.333 0.333
Hg1 Hg 0.000 0.000 0.246
Hg2 Hg 0.000 0.000 0.754
Hg3 Hg 0.333 0.667 0.420
Hg4 Hg 0.333 0.667 0.913
Hg5 Hg 0.667 0.333 0.087
Hg6 Hg 0.667 0.333 0.580
Rh1 Rh 0.000 0.000 0.500
Rh2 Rh 0.333 0.667 0.167
Rh3 Rh 0.667 0.333 0.833
```

Calculated values
Total magnetic moment: 0.00 μB per formula unit
E: -2.529 eV per atom
ΔE_f: 0.172 eV/atom
N(E_F): 9.1 states/eV/cell

[3]
Density functional theory data (PBE) for a relaxed structure of CuPbCl.

Cell and atoms, written as CIF:
```
data_CuPbCl
_cell_length_a 3.398
_cell_length_b 3.398
_cell_length_c 11.649
_cell_angle_alpha 90.00
_cell_angle_beta 90.00
_cell_angle_gamma 90.00
_space_group_name_H-M_alt 'P 1'
_space_group_IT_number 1
loop_
_space_group_symop_operation_xyz
'x,y,z'
loop_
_atom_site_label
_atom_site_type_symbol
_atom_site_fract_x
_atom_site_fract_y
_atom_site_fract_z
Cu1 Cu 0.000 0.000 0.000
Cu2 Cu 0.500 0.500 0.500
Pb1 Pb 0.000 0.000 0.351
Pb2 Pb 0.500 0.500 0.851
Cl1 Cl 0.000 0.000 0.618
Cl2 Cl 0.500 0.500 0.118
```

Calculated values
Total magnetic moment: 0.00 μB per formula unit
E: -3.322 eV per atom
Energy relative to the lowest polymorph listed for this composition: 0.114 eV per atom
Energy relative to the elements, uncorrected: -0.11 eV per atom
N(E_F): 1.5 states/eV/cell

[4]
Density functional theory data (PBE) for a relaxed structure of Ca2MgBi3.

Cell and atoms, written as CIF:
```
data_Ca2MgBi3
_cell_length_a 7.986
_cell_length_b 4.743
_cell_length_c 20.048
_cell_angle_alpha 90.00
_cell_angle_beta 90.00
_cell_angle_gamma 90.00
_space_group_name_H-M_alt 'P 1'
_space_group_IT_number 1
loop_
_space_group_symop_operation_xyz
'x,y,z'
loop_
_atom_site_label
_atom_site_type_symbol
_atom_site_fract_x
_atom_site_fract_y
_atom_site_fract_z
Ca1 Ca 0.126 0.250 0.087
Ca2 Ca 0.131 0.250 0.288
Ca3 Ca 0.369 0.750 0.788
Ca4 Ca 0.374 0.750 0.587
Ca5 Ca 0.626 0.250 0.413
Ca6 Ca 0.631 0.250 0.212
Ca7 Ca 0.869 0.750 0.712
Ca8 Ca 0.874 0.750 0.913
Mg1 Mg 0.070 0.750 0.442
Mg2 Mg 0.430 0.250 0.942
Mg3 Mg 0.570 0.750 0.058
Mg4 Mg 0.930 0.250 0.558
Bi1 Bi 0.097 0.250 0.830
Bi2 Bi 0.160 0.250 0.677
Bi3 Bi 0.243 0.750 0.983
Bi4 Bi 0.257 0.250 0.483
Bi5 Bi 0.340 0.750 0.177
Bi6 Bi 0.403 0.750 0.330
Bi7 Bi 0.597 0.250 0.670
Bi8 Bi 0.660 0.250 0.823
Bi9 Bi 0.743 0.750 0.517
Bi10 Bi 0.757 0.250 0.017
Bi11 Bi 0.840 0.750 0.323
Bi12 Bi 0.903 0.750 0.170
```

Calculated values
Total magnetic moment: 0.00 μB per formula unit
E: -3.428 eV per atom
Energy relative to the lowest polymorph listed for this composition: 0.000 eV per atom
-- stop --
Done >
[1]
Density functional theory data (PBE) for a relaxed structure of Pm2Tl4Se5.

Cell and atoms, written as CIF:
```
data_Pm2Tl4Se5
_cell_length_a 23.984
_cell_length_b 23.984
_cell_length_c 23.984
_cell_angle_alpha 10.26
_cell_angle_beta 10.26
_cell_angle_gamma 10.26
_space_group_name_H-M_alt 'P 1'
_space_group_IT_number 1
loop_
_space_group_symop_operation_xyz
'x,y,z'
loop_
_atom_site_label
_atom_site_type_symbol
_atom_site_fract_x
_atom_site_fract_y
_atom_site_fract_z
Pm1 Pm 0.141 0.141 0.141
Pm2 Pm 0.859 0.859 0.859
Tl1 Tl 0.313 0.313 0.313
Tl2 Tl 0.413 0.413 0.413
Tl3 Tl 0.587 0.587 0.587
Tl4 Tl 0.687 0.687 0.687
Se1 Se 0.213 0.213 0.213
Se2 Se 0.375 0.375 0.375
Se3 Se 0.500 0.500 0.500
Se4 Se 0.625 0.625 0.625
Se5 Se 0.787 0.787 0.787
```

Calculated values
Total magnetic moment: 0.00 μB per formula unit
E: -4.216 eV per atom
Energy relative to the elements, uncorrected: -0.91 eV per atom
N(E_F): 2.8 states/eV/cell

[2]
Density functional theory data (PBE) for a relaxed structure of AgHg2Rh.

Cell and atoms, written as CIF:
```
data_AgHg2Rh
_cell_length_a 3.070
_cell_length_b 3.070
_cell_length_c 27.667
_cell_angle_alpha 90.00
_cell_angle_beta 90.00
_cell_angle_gamma 120.00
_space_group_name_H-M_alt 'P 1'
_space_group_IT_number 1
loop_
_space_group_symop_operation_xyz
'x,y,z'
loop_
_atom_site_label
_atom_site_type_symbol
_atom_site_fract_x
_atom_site_fract_y
_atom_site_fract_z
Ag1 Ag 0.000 0.000 0.000
Ag2 Ag 0.333 0.667 0.667
Ag3 Ag 0.667 0.333 0.333
Hg1 Hg 0.000 0.000 0.246
Hg2 Hg 0.000 0.000 0.754
Hg3 Hg 0.333 0.667 0.420
Hg4 Hg 0.333 0.667 0.913
Hg5 Hg 0.667 0.333 0.087
Hg6 Hg 0.667 0.333 0.580
Rh1 Rh 0.000 0.000 0.500
Rh2 Rh 0.333 0.667 0.167
Rh3 Rh 0.667 0.333 0.833
```

Calculated values
Total magnetic moment: 0.00 μB per formula unit
E: -2.529 eV per atom
ΔE_f: 0.172 eV/atom
N(E_F): 9.1 states/eV/cell

[3]
Density functional theory data (PBE) for a relaxed structure of CuPbCl.

Cell and atoms, written as CIF:
```
data_CuPbCl
_cell_length_a 3.398
_cell_length_b 3.398
_cell_length_c 11.649
_cell_angle_alpha 90.00
_cell_angle_beta 90.00
_cell_angle_gamma 90.00
_space_group_name_H-M_alt 'P 1'
_space_group_IT_number 1
loop_
_space_group_symop_operation_xyz
'x,y,z'
loop_
_atom_site_label
_atom_site_type_symbol
_atom_site_fract_x
_atom_site_fract_y
_atom_site_fract_z
Cu1 Cu 0.000 0.000 0.000
Cu2 Cu 0.500 0.500 0.500
Pb1 Pb 0.000 0.000 0.351
Pb2 Pb 0.500 0.500 0.851
Cl1 Cl 0.000 0.000 0.618
Cl2 Cl 0.500 0.500 0.118
```

Calculated values
Total magnetic moment: 0.00 μB per formula unit
E: -3.322 eV per atom
Energy relative to the lowest polymorph listed for this composition: 0.114 eV per atom
Energy relative to the elements, uncorrected: -0.11 eV per atom
N(E_F): 1.5 states/eV/cell

[4]
Density functional theory data (PBE) for a relaxed structure of Ca2MgBi3.

Cell and atoms, written as CIF:
```
data_Ca2MgBi3
_cell_length_a 7.986
_cell_length_b 4.743
_cell_length_c 20.048
_cell_angle_alpha 90.00
_cell_angle_beta 90.00
_cell_angle_gamma 90.00
_space_group_name_H-M_alt 'P 1'
_space_group_IT_number 1
loop_
_space_group_symop_operation_xyz
'x,y,z'
loop_
_atom_site_label
_atom_site_type_symbol
_atom_site_fract_x
_atom_site_fract_y
_atom_site_fract_z
Ca1 Ca 0.126 0.250 0.087
Ca2 Ca 0.131 0.250 0.288
Ca3 Ca 0.369 0.750 0.788
Ca4 Ca 0.374 0.750 0.587
Ca5 Ca 0.626 0.250 0.413
Ca6 Ca 0.631 0.250 0.212
Ca7 Ca 0.869 0.750 0.712
Ca8 Ca 0.874 0.750 0.913
Mg1 Mg 0.070 0.750 0.442
Mg2 Mg 0.430 0.250 0.942
Mg3 Mg 0.570 0.750 0.058
Mg4 Mg 0.930 0.250 0.558
Bi1 Bi 0.097 0.250 0.830
Bi2 Bi 0.160 0.250 0.677
Bi3 Bi 0.243 0.750 0.983
Bi4 Bi 0.257 0.250 0.483
Bi5 Bi 0.340 0.750 0.177
Bi6 Bi 0.403 0.750 0.330
Bi7 Bi 0.597 0.250 0.670
Bi8 Bi 0.660 0.250 0.823